Work order:
Please copy the lines below up to the one that holds "spin): 0.0", that line included.
Source:
┌──
[1]
Here is 2 unconnected molecules or ions with the total composition C4H7N3S in a non-equilibrium geometry from the Open Molecules 2025 dataset. Energies are from ωB97M-V with the def2-TZVPD basis set.

Last column: natural (NBO) charge in e.
Atoms and positions in Å:
C: 0.28 -0.70 -0.16  0.164
C: 0.91 1.62 -0.97  0.209
C: 0.34 -1.65 -1.30  -0.681
C: -1.56 1.87 -0.77  -0.414
N: 0.67 -0.41 0.92  0.010
N: 0.84 0.00 2.05  -0.535
N: -0.17 2.13 -0.99  -0.435
S: 2.41 1.39 -1.13  -0.028
H: 1.30 -1.90 -1.66  0.248
H: -0.28 -1.25 -2.16  0.230
H: -0.26 -2.52 -0.92  0.245
H: -1.78 2.31 0.17  0.218
H: -2.17 2.37 -1.52  0.212
H: -1.78 0.80 -0.81  0.208
H: 1.71 0.52 2.19  0.350

Values from the calculation:
* HOMO: -8.34 eV
* frontier orbital gap: 8.89 eV
* lowest unoccupied orbital energy: 0.554 eV
* relative energy (zero: lowest compared OMol25 entry of this formula, charge and spin): 105.8 kcal per mole
* E: -19563.1914 eV
* largest force on an atom: 3.8 eV/A
* net charge: 0
* 2S+1: 1


[2]
Here is a gas-phase ion, C4H7N4O (charge +1) in a non-equilibrium geometry from the Open Molecules 2025 dataset. Energies are from ωB97M-V with the def2-TZVPD basis set.

Last column: natural (NBO) charge in e.
Atoms and positions in Å:
C: 0.15 1.98 1.57  -0.439
N: -0.34 0.98 0.52  -0.501
C: 0.15 -0.15 0.10  0.562
N: 1.06 -0.80 0.74  -0.729
C: -0.37 -0.80 -1.25  -0.301
C: -1.62 -1.58 -1.15  0.203
N: -2.60 -2.17 -1.11  -0.163
N: 0.70 -1.73 -1.81  0.156
O: 0.84 -1.58 -3.03  -0.161
H: -0.35 1.74 2.55  0.241
H: 1.19 2.03 1.85  0.245
H: -0.26 2.93 1.29  0.255
H: -1.09 1.23 -0.15  0.436
H: 1.68 -1.52 0.30  0.463
H: 1.40 -0.49 1.71  0.443
H: -0.51 -0.06 -2.11  0.291

Values from the calculation:
* HOMO: -14.53 eV
* frontier orbital gap: 9.19 eV
* SMILES string: CNC(=[NH2+])[C@H](C#N)N=O
* lowest unoccupied orbital energy: -5.342 eV
* relative energy (zero: lowest compared OMol25 entry of this formula, charge and spin): 64.3 kcal per mole
* E: -12258.8922 eV
* largest force on an atom: 4.1 eV/A
* net charge: +1
* 2S+1: 1


[3]
Here is a gas-phase ion, C4H7N4O (charge +1) in a non-equilibrium geometry from the Open Molecules 2025 dataset. Energies are from ωB97M-V with the def2-TZVPD basis set.

Last column: natural (NBO) charge in e.
Atoms and positions in Å:
C: -2.05 -0.93 -1.16  0.302
C: -0.92 -1.56 0.54  0.318
C: -0.40 -0.30 0.09  0.369
C: 1.87 1.25 -0.11  -0.485
N: -1.95 -1.91 -0.31  -0.424
N: -1.09 0.02 -1.06  -0.531
N: -0.58 -2.31 1.58  -0.600
N: 0.92 0.42 0.64  0.041
O: 1.18 0.25 1.82  -0.323
H: -2.76 -0.70 -1.90  0.233
H: 2.35 0.38 -0.81  0.223
H: 2.78 1.53 0.56  0.291
H: 1.46 2.08 -0.79  0.235
H: -0.93 0.97 -1.44  0.469
H: 0.29 -2.18 2.05  0.441
H: -1.18 -3.04 1.89  0.440

Values from the calculation:
* HOMO (spin up / spin down): -12.22 / -14.64 eV
* frontier orbital gap (spin up / spin down): 8.94 / 7.52 eV
* ⟨S²⟩: 2.014
* lowest unoccupied orbital energy (spin up / spin down): -3.282 / -7.121 eV
* relative energy (zero: lowest compared OMol25 entry of this formula, charge and spin): 0.0 kcal per mole
* E: -12258.1354 eV
* largest force on an atom: 4.3 eV/A
* net charge: +1
* 2S+1: 3


[4]
Here is a gas-phase ion, C4H7N4OS (charge +1) in a non-equilibrium geometry from the Open Molecules 2025 dataset. Energies are from ωB97M-V with the def2-TZVPD basis set.

Last column: natural (NBO) charge in e.
Atoms and positions in Å:
C: -1.20 2.25 -0.12  -0.707
C: -1.20 0.75 -0.11  0.727
O: -2.31 0.00 0.01  -0.622
N: -0.02 0.07 -0.19  -0.230
N: 1.11 0.88 -0.03  -0.383
C: 2.19 0.14 -0.06  0.146
S: 3.74 0.67 0.24  -0.090
N: 1.83 -1.21 -0.05  -0.511
C: 0.53 -1.36 -0.03  0.693
N: -0.05 -2.56 0.00  -0.723
H: -0.28 2.68 0.33  0.320
H: -2.10 2.52 0.50  0.249
H: -1.30 2.57 -1.11  0.282
H: -3.17 0.49 0.17  0.545
H: 2.42 -1.90 -0.39  0.455
H: 0.59 -3.32 0.18  0.424
H: -0.77 -2.67 0.64  0.425

Values from the calculation:
* HOMO (spin up / spin down): -11.35 / -11.35 eV
* frontier orbital gap (spin up / spin down): 5.75 / 5.75 eV
└──
Response:
[1]
Here is 2 unconnected molecules or ions with the total composition C4H7N3S in a non-equilibrium geometry from the Open Molecules 2025 dataset. Energies are from ωB97M-V with the def2-TZVPD basis set.

Last column: natural (NBO) charge in e.
Atoms and positions in Å:
C: 0.28 -0.70 -0.16  0.164
C: 0.91 1.62 -0.97  0.209
C: 0.34 -1.65 -1.30  -0.681
C: -1.56 1.87 -0.77  -0.414
N: 0.67 -0.41 0.92  0.010
N: 0.84 0.00 2.05  -0.535
N: -0.17 2.13 -0.99  -0.435
S: 2.41 1.39 -1.13  -0.028
H: 1.30 -1.90 -1.66  0.248
H: -0.28 -1.25 -2.16  0.230
H: -0.26 -2.52 -0.92  0.245
H: -1.78 2.31 0.17  0.218
H: -2.17 2.37 -1.52  0.212
H: -1.78 0.80 -0.81  0.208
H: 1.71 0.52 2.19  0.350

Values from the calculation:
* HOMO: -8.34 eV
* frontier orbital gap: 8.89 eV
* lowest unoccupied orbital energy: 0.554 eV
* relative energy (zero: lowest compared OMol25 entry of this formula, charge and spin): 105.8 kcal per mole
* E: -19563.1914 eV
* largest force on an atom: 3.8 eV/A
* net charge: 0
* 2S+1: 1


[2]
Here is a gas-phase ion, C4H7N4O (charge +1) in a non-equilibrium geometry from the Open Molecules 2025 dataset. Energies are from ωB97M-V with the def2-TZVPD basis set.

Last column: natural (NBO) charge in e.
Atoms and positions in Å:
C: 0.15 1.98 1.57  -0.439
N: -0.34 0.98 0.52  -0.501
C: 0.15 -0.15 0.10  0.562
N: 1.06 -0.80 0.74  -0.729
C: -0.37 -0.80 -1.25  -0.301
C: -1.62 -1.58 -1.15  0.203
N: -2.60 -2.17 -1.11  -0.163
N: 0.70 -1.73 -1.81  0.156
O: 0.84 -1.58 -3.03  -0.161
H: -0.35 1.74 2.55  0.241
H: 1.19 2.03 1.85  0.245
H: -0.26 2.93 1.29  0.255
H: -1.09 1.23 -0.15  0.436
H: 1.68 -1.52 0.30  0.463
H: 1.40 -0.49 1.71  0.443
H: -0.51 -0.06 -2.11  0.291

Values from the calculation:
* HOMO: -14.53 eV
* frontier orbital gap: 9.19 eV
* SMILES string: CNC(=[NH2+])[C@H](C#N)N=O
* lowest unoccupied orbital energy: -5.342 eV
* relative energy (zero: lowest compared OMol25 entry of this formula, charge and spin): 64.3 kcal per mole
* E: -12258.8922 eV
* largest force on an atom: 4.1 eV/A
* net charge: +1
* 2S+1: 1


[3]
Here is a gas-phase ion, C4H7N4O (charge +1) in a non-equilibrium geometry from the Open Molecules 2025 dataset. Energies are from ωB97M-V with the def2-TZVPD basis set.

Last column: natural (NBO) charge in e.
Atoms and positions in Å:
C: -2.05 -0.93 -1.16  0.302
C: -0.92 -1.56 0.54  0.318
C: -0.40 -0.30 0.09  0.369
C: 1.87 1.25 -0.11  -0.485
N: -1.95 -1.91 -0.31  -0.424
N: -1.09 0.02 -1.06  -0.531
N: -0.58 -2.31 1.58  -0.600
N: 0.92 0.42 0.64  0.041
O: 1.18 0.25 1.82  -0.323
H: -2.76 -0.70 -1.90  0.233
H: 2.35 0.38 -0.81  0.223
H: 2.78 1.53 0.56  0.291
H: 1.46 2.08 -0.79  0.235
H: -0.93 0.97 -1.44  0.469
H: 0.29 -2.18 2.05  0.441
H: -1.18 -3.04 1.89  0.440

Values from the calculation:
* HOMO (spin up / spin down): -12.22 / -14.64 eV
* frontier orbital gap (spin up / spin down): 8.94 / 7.52 eV
* ⟨S²⟩: 2.014
* lowest unoccupied orbital energy (spin up / spin down): -3.282 / -7.121 eV
* relative energy (zero: lowest compared OMol25 entry of this formula, charge and spin): 0.0 kcal per mole